Keeping investments in or out of line with the development of the IT sector.
In the last 15 years, the Serbian IT sector reached significant growth. From sole traders/entrepreneurs, agencies, to smaller companies that provide services through "outsourcing" to clients in Western Europe and North America, the IT sector has developed with service-related companies that export services worth over EUR 1.7 billion, with an annual growth of 30% and, globally successful companies developing complex technological products and operating in large worldwide markets.
By virtue of the programs for the accelerated development of the startup ecosystem and the orientation of service-related companies towards providing services with great added value, Serbia is in an excellent position to become a leader in this domain. Companies had modest funds at their disposal when established, so outsourcing to Western Europe and North America was a logical path as the most profitable solution. During the last 15 years, first gradual and then sudden transformation of the IT sector occurred, due to the expertise of people from high-quality technical faculties in Serbia, but also through informal education and excellent knowledge of the English language, which contributed to the easier cooperation and creation of additional value on the market. Due to these reasons, the Serbian IT sector exported services with an excellent quality-price ratio. Domestic IT services market reached a value of around EUR 300 million and is growing annually, while the export of IT services in 2021 amounted to EUR 1.73 billion, which is an annual growth of 30%. In 2016, Serbia was in 42nd place, and it is expected to reach 35th place in 2021, according to information from the World Trade Organization.
"alternative" investing in the IT sector
This growth trend is certainly recognized by the legislator with numerous tax incentives, primarily for innovative creators of products and services such as startups, as well as their necessary financial development. The development itself, through the investment mechanism, among others, is established by the solutions of the Law on Alternative Investment Funds (AIF Law) which, among other things, regulates the establishment and management of alternative investment funds, as well as the incorporation, activity and operations of companies managing alternative investment funds. AIF Law defines an alternative investment fund (AIF) as an investment fund that collects funds from investors with the intention of investing them in accordance with the established investment policy for the benefit of those investors, and for which a license is not required, in pursuant with the Law on Open-End Investment Funds subject to Public Offering.
Furthermore, AIF Law also defines the company for the management of alternative investment funds (AIF Company) as a legal entity registered in the Republic of Serbia whose regular activity is the management of one or more AIFs based on an approval license issued by the Securities Commission (Commission), in accordance with that law.
Commission maintains a public register for AIF and AIF Company. AIF Company is established as a limited liability company (LLC) or a joint-stock company (JSC), which is not a listed company in the sense of the law governing the capital market (exceptionally, it can also be established as a two-tier managed JSC). This enables somewhat more flexible access to the market, considering that the incorporation and management of LLCs and non-listed JSCs is much easier whereas it is not subject to strict control by Commission. Also, non-listed JSC does not have the obligation to submit a request for the inclusion of its equity securities in trading on the regulated market managed by the market organizer (stock exchange) nor it is, to full extent, subjected to provisions of the Capital Market Law (CML,) which apply to listed JSC. Therefore, with a non-listed JSC, no public offering and issuance of shares is required, no obligation to prepare a prospectus for the offer in accordance with CML, etc.
The provisions of the Company Law (Company Law) apply to AIF Company and the provisions of CML, unless the AIF Law prescribes otherwise, meaning that AIF Law exclusively regulates part of this ecosystem, which is a fertile ground for the development and progress of startups and technological businesses. However, LLC and JSC are in principle incorporated, managed, and operate in accordance with the Company Law considering the characteristics of these legal forms of companies.
AIF and AIF Company represent what is known in the financial world as "Venture Capital Funding" or "VC Funding". In domestic area, such terms would be translated as "entrepreneurial capital" or "risk capital". However, this terminology does not reflect the purpose of this very method of financing, as it deters potential investors from startups (as a type of risky venture), which the Serbian market still perceives as an a priori unsafe investment, and therefore insufficiently regulated (or at least it used to be). Nevertheless, it is a fact that in recent years this type of investment has been formalized to a greater extent, which gradually develops and achieves financial goals in the IT sector as a type of initial investment which is necessary for numerous technological startups and other business undertakings. The new Law on Innovation Activities strives to somehow change that negative perception by defining these entities as investors in innovation activities who invest financial resources in startups, i.e., as the law symbolically designates them as "business angels". The initial investment is oftentimes insufficient for sustainable business development. The IT sector stimulated with the initial investment usually has no significant obstacles to move to a wider market through the "outsourcing" model (low transactional costs, aggressive marketing and sales, development of the Internet and social networks, efficient communication, etc.) and, in the end, to the final sale of the entire business and/or shares/stakes in a company (Exit).
Each individual financing venture, when carried out by AIF Company managing AIFs and other investors, represents a comprehensive process based on various verification actions (Due Diligence) as well as on the functional cooperation of startups-applicants, investors and possibly engaged third parties if required for contemplated investment. Due Diligence includes several main categories conducted with the support of experts from respective fields such as technical, financial, market, tax, and legal analysis. The targeted issues within those categories are business and social reputation, skills/experts’ team, investment timing, sales/marketing, product viability, intellectual property rights protection and preservation followed with other related legal issues, income-costs ration ("burn rate"), social impact, competition on relevant markets and Exit potential, i.e. an opportunity for the future sale and monetization. For a rising startup or other investment-seeking entity to be brought to an end of this rather, comprehensive process, experts from different respective fields are required always when the financial efficiency accompanied with law compliance is the goal of such undertakings.
Tax incentives
In addition to the created ecosystem where investing entities (AIF, AIF Company) operate, legislation in the Republic of Serbia also contributes to sustainable development through tax incentives and reliefs.
== Someone pasted crystal structures at this point ==
=====
Starting from a structure optimized by DFT (PBE), the powder XRD pattern of YSc11 was simulated for Cu Ka.

Structure:
Cell lengths 10.352, 10.352, 3.247 Å; angles 90.00, 90.00, 120.00 degrees
Element x y z (fractional)
Y 0.000 0.000 0.000
Sc 0.000 0.500 0.000
Sc 0.179 0.357 0.500
Sc 0.179 0.821 0.500
Sc 0.333 0.667 0.000
Sc 0.357 0.179 0.500
Sc 0.500 0.000 0.000
Sc 0.500 0.500 0.000
Sc 0.643 0.821 0.500
Sc 0.667 0.333 0.000
Sc 0.821 0.179 0.500
Sc 0.821 0.643 0.500

The 6 most intense peaks (2θ = 10–90°), in order of rising 2θ:
Position (°2θ)  I_rel
32.55  36.3
34.10  63.8
34.66  100.0
41.05  20.0
49.41  19.2
68.19  23.4

Starting from a structure optimized by DFT (PBE), the powder XRD pattern of Y5Sc3 was simulated for Cu Ka.

Structure:
Cell lengths 4.915, 4.915, 9.697 Å; angles 90.00, 90.00, 90.00 degrees
Element x y z (fractional)
Y 0.000 0.000 0.000
Y 0.000 0.000 0.475
Y 0.000 0.500 0.743
Y 0.500 0.000 0.743
Y 0.500 0.500 0.475
Sc 0.000 0.500 0.232
Sc 0.500 0.000 0.232
Sc 0.500 0.500 0.001

The 6 most intense peaks (2θ = 10–90°), in order of rising 2θ:
Position (°2θ)  I_rel
31.68  100.0
36.57  34.0
37.09  15.3
52.68  11.4
53.07  20.9
62.79  25.7

Starting from a structure optimized by DFT (PBE), the powder XRD pattern of YSc2 was simulated for Cu Ka.

Structure:
Cell lengths 6.312, 6.312, 8.011 Å; angles 103.17, 103.17, 31.62 degrees
Element x y z (fractional)
Y 0.185 0.185 0.139
Y 0.815 0.815 0.861
Sc 0.138 0.138 0.524
Sc 0.468 0.468 0.213
Sc 0.532 0.532 0.787
Sc 0.862 0.862 0.476

The 6 most intense peaks (2θ = 10–90°), in order of rising 2θ:
Position (°2θ)  I_rel
30.09  27.7
=====
== The crystal structures stop here ==
R&D costs deduction
The Law on Corporate Income Tax (LCIT) provides an incentive in the form of the possibility of excluding 80% of qualified income from the tax base (consequently reducing monetary tax liability). Qualified income is the income that a person/entity realizes as a holder of copyright or related rights based on the fee for the use of a deposited work of authorship or subject of related rights registered by depositing it in the register of the competent authority (LCIT refers therewith to the Law on Copyright and Related Rights as the organic regulation). Qualified income is excluded by first reducing the income for tax-deductible expenses related to research and development activities that resulted in the creation of that work of authorship or subject of related rights (qualified expenses).
It is required to keep accurate records of all relevant income and expenses, and qualified income must be separately stated in the taxpayer's tax balance sheet. This is often neglected by the rising startups and business undertakings but can be of crucial importance (apart being mandatory by LCIT) when one does strive towards efficient business paved with smart tax planning while not just seeking the ‘’bail-out’’ from investors. Moreover, keeping accurate records while complying with the law and tax planning shall transmit appropriate signal for AIF Company and other investors. The right to use this incentive is not available when application for invention is rejected by the competent authority, and if the submitted application is rejected, used reductions must be withdrawn from the tax base (tax base correction) in the respective tax period.
Tax credit when investing in ‘’newly incorporated companies conducting innovative activities’’
Further, LCIT stipulates that a taxpayer which cannot be considered a ‘’newly incorporated company which conducts innovative activities’’ (e.g. startups and other business ventures), and which invests in the capital of such newly founded company which conducts innovative activities, is granted the right to a tax credit in the amount of 30% of investment. The maximum amount of the tax credit thereof is RSD 100,000,000.00, and regardless of the number of investments on account of company’s income tax in one tax year, is RSD 50,000,000.00.
LCIT defines a newly incorporated company which conducts innovative activities as any company whose incorporation has not been more than 3 (three) years old, and which predominantly conducts innovative activities in the sense of the Law on Innovation Activities, i.e. undertakes activities for the creation of new products, technologies, processes and services or significant changes to existing ones, in accordance with the market requirements, and which meets (cumulatively) the following conditions:
- annual income according to the latest financial reports does not exceed RSD 500,000,000.00;
- since its incorporation, it has not distributed dividends, i.e., profit shares, and will not distribute them for a period of three years from the date of investment;
- the center of business activities is located on the territory of the Republic of Serbia;
- did not result from a status change in accordance with the Company Law;
- in each tax period, starting from the first following period from the period representing the moment of incorporation and ending with the period when the full payment of monetary contributions was made:
- research and development costs make up at least 15 percent of the total recognized expenses, or
- highly qualified employees make up more than 80 percent of all employees, or
- is the owner or the user of the deposited work of authorship or patent that is directly related to the innovative activity it performs.
The taxpayer (i.e., investor in newly incorporated company for innovative business activities) can use the tax credit in the first tax period following the expiration of 3 (three) years from the investment. The unused part of the tax credit can be transferred to the company’s income tax account for future accounting periods, but not longer than five years. Both R&D costs reduction and tax credit may be used and are usually intertwined when it comes to conditions and terms of exercising it. Mechanisms of implementation, application, closer conditions of tax incentives and ways of exercising the right to tax credits, methods of excluding qualified income from the profit tax base and recognition of expenses related to R&D are regulated by secondary legal acts - rulebooks.
It is obvious that, with the rapid development of the IT industry in Serbia, both in terms of the model and way of doing business and in terms of the profits that the industry brings (including the export potential of service providing), applicable legal solutions are also progressing as a necessary legal framework for investment, development and sale of IT products, services, and ecosystems as a whole. The abovementioned is part of the legal regulation that has a positive impact on the IT sector. However, there are numerous issues that are not sufficiently clarified in practice and that have a significant financial and strategic impact on IT, such as the participation of employees and members of the company's management body in the company's ownership structure, incentives for employees, bonuses, reserved own shares of the company and financial instruments - the right on acquiring shares in the company and similar. The relevant applicable legal regulations in Serbia already provide a sufficient legal framework and basis for implementation, while its individual actors are waiting for a "safe" moment in order to keep pace with the rise of this industry.
By Aleksandar Popovic, Partner, and Milos Maksimovic, Senior Associate, JPM Jankovic Popovic Mitic